June 2017
• Molecular data, kept here for reference:
{
  "formula": "C25H48BN9O6P2S4Sc",
  "method": "ωB97M-V/def2-TZVPD",
  "elements": ["Sc", "S", "S", "S", "S", "P", "P", "O", "O", "O", "O", "O", "O", "N", "N", "N", "N", "N", "N", "N", "N", "N", "C", "C", "C", "C", "C", "C", "C", "C", "C", "C", "C", "C", "C", "C", "C", "C", "C", "C", "C", "C", "C", "C", "C", "C", "C", "B", "H", "H", "H", "H", "H", "H", "H", "H", "H", "H", "H", "H", "H", "H", "H", "H", "H", "H", "H", "H", "H", "H", "H", "H", "H", "H", "H", "H", "H", "H", "H", "H", "H", "H", "H", "H", "H", "H", "H", "H", "H", "H", "H", "H", "H", "H", "H", "H"],
  "positions_angstrom": [[-0.835, -0.237, 0.247], [-1.820, 2.405, -3.814], [0.619, 0.391, 2.341], [1.104, 0.728, -1.212], [-0.158, -2.724, 0.005], [-3.118, 0.713, -0.793], [-3.742, -1.228, 1.442], [-2.250, -0.905, 1.438], [-2.324, -0.469, -1.335], [-4.485, -1.158, 2.702], [-3.947, -2.632, 0.663], [-3.951, 1.477, -1.877], [-2.206, 1.557, 0.060], [-5.089, -1.014, -0.963], [3.162, 0.057, 0.503], [3.054, 2.189, 0.080], [1.349, -3.017, -2.294], [2.438, -2.117, -0.639], [2.181, -1.845, 1.955], [-1.778, 4.125, -1.773], [-1.081, 4.948, -3.793], [0.993, -1.942, 3.779], [1.250, -2.622, -1.005], [2.667, 3.534, -0.462], [0.133, -1.573, 4.963], [4.187, 0.671, 1.192], [-5.551, 0.804, 0.685], [2.456, -3.049, 2.569], [-1.309, -1.346, 4.517], [0.849, -3.915, -4.531], [0.280, -3.655, -3.139], [1.728, -3.116, 3.696], [2.636, -2.748, -2.741], [-0.903, -2.697, -3.268], [4.134, 1.986, 0.930], [3.653, 4.578, 0.054], [-0.125, -4.987, -2.517], [1.278, -1.177, 2.700], [-1.538, 3.913, -3.078], [0.153, -2.734, 5.953], [3.300, -2.195, -1.713], [0.729, -0.342, 5.638], [2.722, 3.519, -1.987], [2.477, 0.988, -0.183], [1.278, 3.885, 0.061], [-4.483, -0.118, 0.117], [-0.936, 6.305, -3.300], [2.977, -1.476, 0.672], [0.125, -0.088, 6.510], [-4.326, -1.428, -1.513], [4.747, 2.784, 1.297], [0.728, -5.667, -2.477], [-1.529, 4.993, -1.332], [1.139, -2.992, -5.036], [-0.564, -1.704, -3.567], [4.314, -1.840, -1.650], [-0.309, 6.331, -2.407], [-0.899, -5.445, -3.136], [-3.802, -3.397, 1.232], [0.740, 0.515, 4.967], [4.864, 0.111, 1.811], [-1.902, 6.763, -3.075], [2.475, 4.516, -2.357], [-0.493, -2.464, 6.786], [1.676, -3.891, 4.434], [1.149, -2.923, 6.354], [1.748, -0.545, 5.973], [-5.687, -0.464, -1.581], [3.151, -3.752, 2.148], [-3.374, 1.875, -2.601], [0.522, 3.212, -0.333], [4.672, 4.382, -0.282], [-1.929, -1.221, 5.406], [1.259, 3.836, 1.152], [-1.450, -2.601, -2.333], [4.088, -1.926, 0.833], [1.045, 4.909, -0.238], [-1.039, 4.783, -4.786], [-6.346, 0.236, 1.170], [-1.884, 3.317, -1.174], [2.968, -2.964, -3.736], [0.065, -4.385, -5.122], [1.699, -4.598, -4.510], [-1.415, -0.467, 3.889], [3.729, 3.271, -2.328], [-0.521, -4.859, -1.510], [-1.575, -3.081, -4.039], [3.354, 5.545, -0.350], [-0.240, -3.653, 5.514], [3.639, 4.656, 1.142], [2.019, 2.807, -2.413], [-5.607, -1.788, -0.543], [-5.103, 1.431, 1.455], [-5.964, 1.450, -0.092], [-0.436, 6.897, -4.061], [-1.681, -2.210, 3.963]],
Over 20 years ago, God began working in the hearts of several Minnesota Christians to begin a ministry producing and distributing Christian literature in a small portion of Ukraine. Initially, we began as a Christian literature arm of The Shepherd’s Foundation. As we continued to expand, we were led to the formation of a new and independent organization, READ Ministries, Inc.
In 2017 we celebrate the 15th anniversary of the incorporation of READ Ministries and the expansion of work beyond Ukraine into Russia, Belarus, Georgia, Tajikistan, Kazakhstan, Uzbekistan and throughout many parts of the former Soviet Union. We're excited to host two celebrations this fall. The first on September 28, 2017 at Bethel University in Arden Hills, MN and the second on October 5, 2017 at Calvary Community Church in St. Cloud, MN.
In 2007, our 5th anniversary, we celebrated the expansion of a bookmobile ministry that provided thousands of opportunities for Ukrainians to read Christian books. This ministry led to the development of at least two new evangelical churches. We celebrated the expansion of librarian counselors and pastor’s training in several new Ukrainian oblasts.
Our 10th anniversary in 2012 found READ Ministries at a time of crisis as political events in Ukraine produced chaos and concern casting doubts on READ’s future ministry. But God proved faithful and we moved into electronic distribution of Christian literature through small personal computers and flash drives significantly expanding our area of service beyond Ukraine.
Our last five years have been times of great opportunity. Librarians and pastors continue to receive training and resources. Partnerships with several Bible colleges, seminaries and the Euro Asian Accrediting Association have produced new opportunities for service. Desire for additional distribution of our Print-on-Demand systems continues to grow.
We are awed by what God has done and continues to do. Almost 450 librarian/counselors have been trained and 130,000 books have been distributed to their church libraries, orphanages and prison ministries. Pastors participating in READ sponsored conferences have received 170,000 theological volumes! Almost 200 digital libraries have been distributed as well! God is using faithful Euro-Asian partners to expand His work.
Please plan on joining us on September 28, 2017 at Bethel University or on Oct. 5, 2017 at Calvary Community Church in St. Cloud to help us celebrate 15 years of God's ministry. We are excited and can only imagine what God will do in the next 15 years!
“The Lord has done great things for us, and we are filled with joy!” Psalms 126:3